March 1, 2024

Exploring the connection between kidney and heart health

Empower yourself for a healthier future by understanding how these two organs are critically linked

[Attached: records of crystals]
Simulated X-ray powder pattern
Compound: Pm5Tl3Ga
Radiation: Cu Kα X-rays
Structure: a crystal structure in Alexandria, relaxed with PBE

Structure:
Cell: 9.5374 9.5374 6.6997 Å, 90.00 90.00 120.00°
Atoms (fractional coordinates):
Pm1 0.0000 0.2702 0.2500
Pm2 0.0000 0.7298 0.7500
Pm3 0.2702 0.0000 0.2500
Pm4 0.2702 0.2702 0.7500
Pm5 0.3333 0.6667 0.0000
Pm6 0.3333 0.6667 0.5000
Pm7 0.6667 0.3333 0.0000
Pm8 0.6667 0.3333 0.5000
Pm9 0.7298 0.0000 0.7500
Pm10 0.7298 0.7298 0.2500
Tl1 0.0000 0.3796 0.7500
Tl2 0.0000 0.6204 0.2500
Tl3 0.3796 0.0000 0.7500
Tl4 0.3796 0.3796 0.2500
Tl5 0.6204 0.0000 0.2500
Tl6 0.6204 0.6204 0.7500
Ga1 0.0000 0.0000 0.0000
Ga2 0.0000 0.0000 0.5000

Top 12 peaks for 10° ≤ 2θ ≤ 90°, sorted by position:
- (0 0 2), 2θ = 26.61°, d = 3.350 Å, intensity 19
- (2 1 1), 2θ = 31.62°, d = 2.830 Å, intensity 68
- (3 0 0), 2θ = 32.52°, d = 2.753 Å, intensity 87
- (1 1 2), 2θ = 32.67°, d = 2.741 Å, intensity 100
- (3 1 1), 2θ = 41.67°, d = 2.168 Å, intensity 21
- (2 2 2), 2θ = 46.76°, d = 1.943 Å, intensity 26
- (3 2 1), 2θ = 50.02°, d = 1.823 Å, intensity 12
- (2 1 3), 2θ = 50.23°, d = 1.816 Å, intensity 19
- (3 3 0), 2θ = 58.09°, d = 1.588 Å, intensity 21
- (4 2 1), 2θ = 60.94°, d = 1.520 Å, intensity 15
- (5 1 1), 2θ = 64.32°, d = 1.448 Å, intensity 12
- (3 0 4), 2θ = 65.20°, d = 1.431 Å, intensity 24

Did you know kidney and heart health are closely linked? We sat down with Nabilah Gulamhusein, a PhD student at the Cumming School of Medicine supervised by kidney researcher and clinician Dr. Sofia Ahmed, MD, to learn more about these closely related organs and some of the important research taking place at the Libin Cardiovascular Institute. 

What’s the connection between the kidneys and the heart? 

The heart and kidneys must work together to keep you healthy. The heart pumps oxygenated blood throughout the body, and the kidneys remove waste from your body. Without your heart, your kidneys would not have oxygenated blood (which is essential for its function) and without the kidneys, your heart would not be able to function because of the toxic environment. Additionally, the kidneys and heart work hand-in-hand to manage your blood pressure. 

How does kidney health impact heart health and vice versa? 

Kidney disease and heart disease share many of the same risk factors, such as diabetes and hypertension. Heart disease increases the risk of kidney disease and vice versa. People living with kidney disease are more than 10 times more likely to develop heart disease! 

Why should we care about kidney health? 

The kidneys have many important functions in the body. They remove waste products from your body and help regulate electrolytes and minerals, such as salt, calcium and potassium and ensure you have the right amount of water in your body by excreting or retaining it. The kidneys also play a role in producing hormones that have important functions in regulating blood pressure and producing red blood cells. Finally, the kidneys help your body manage medications so that they have the optimal effect.

How can I empower myself to keep my kidneys healthy? 

There are multiple steps that you can take to keep your kidneys healthy! Eating a balanced diet by incorporating a variety of healthy foods and limiting highly processed foods and salt is important. Being active and taking small steps to reduce sedentary time is also helpful. Eliminating the use of commercial tobacco and vaping and controlling other medical conditions such as diabetes and high blood pressure—by following the advice of your healthcare providers and taking your medications as directed—can also help keep your kidneys healthy.

Tell us about your research. 

Recently, I worked with Dr. Sandra Dumanski, MD, investigating whether testosterone is linked to cardiovascular health in women living with kidney disease. We discovered that while the amount of testosterone in the body doesn’t appear to directly related to cardiovascular health, the balance of testosterone and estrogen seems to be important in the heart health of women living with kidney disease. These findings have now been published in the Canadian Journal of Cardiology Open

Why is your research important? 

Heart disease is the leading cause of death among women, and kidney disease further increases the risk. For this reason, it is important to learn more about why the risk is so high among women living with kidney disease and to find ways to reduce this risk. Sex hormones may influence cardiovascular health, and kidney disease often affects sex hormones, however, very little research has examined this link so far. Our study was the first to examine the relationship between testosterone and cardiovascular risk in women living with kidney disease and will help move science forward in this important area of study. 

Can you tell us about other research projects in your lab? 

Our lab is working on a variety of exciting projects that will enhance our knowledge about kidney health as well as the kidney-heart connection! Historically, much of cardiovascular and kidney research has not considered how an individual’s sex (biological attributes) or gender (sociocultural attributes) influences health and health outcomes. The work going on in our lab will enhance the understanding of how of sex and gender may influence both heart and kidney health and help care providers design personalized care plans for patients.